Count the lines further down that contain the word "values" and give the number alone.

~~~
1.
VASP calculation (PBE-GGA) on crystalline SmDyPb at its relaxed geometry.

Output
The density of states at the Fermi level is 4.269 states/eV/f.u. As for the formation enthalpy at 0 K: -0.18 eV per atom.

Lattice parameters (Å, degrees): 4.4270 19.8740 4.4259 90.00 90.00 90.00
Space group Cmc2_1 (No. 36)
Asymmetric unit:
1 Sm 0.0000 0.0946 0.0000 (multiplicity 4)
2 Dy 0.0000 0.2893 0.9981 (multiplicity 4)
3 Pb 0.0000 0.4467 0.0001 (multiplicity 4)



2.
VASP calculation (PBE-GGA) on crystalline Sr2LiBi at its relaxed geometry.

Output
The density of states at the Fermi level is 2.310 states/eV/f.u. As for the formation enthalpy at 0 K: -0.07 eV per atom.

Lattice parameters (Å, degrees): 5.4206 5.4206 22.6175 90.00 90.00 90.00
Space group I-42d (No. 122)
Asymmetric unit:
1 Sr 0.2342 0.2500 0.1250 (multiplicity 8)
2 Li 0.0000 0.0000 0.5000 (multiplicity 4)
3 Bi 0.0000 0.0000 0.0000 (multiplicity 4)



Calculated values (eV/atom) of raw total energy for the records, taken in order: -4.52 -2.36.
~~~

1